-- Assignment --
Please echo everything further below unchanged.
-- Given --
********
Below is one molecule with the formula C20H27N3O5, with properties calculated with wB97M-V/def2-TZVPD.

```
55
Properties=species:S:1:pos:R:3:forces:R:3:nbo_charge:R:1
C 4.7833 3.7269 3.7132 -0.232 -0.324 0.125 -0.63
C 4.3500 2.6505 4.6985 0.218 0.495 0.218 -0.07
O 3.4584 1.7160 4.0934 -0.067 -0.268 -0.183 -0.51
C 2.1631 2.0647 4.0396 -0.066 0.211 0.143 0.78
O 1.7321 3.0997 4.4882 0.070 -0.055 -0.041 -0.60
C 1.3291 1.0326 3.3838 -0.163 -0.129 -0.109 -0.22
C 1.8755 -0.1358 2.8566 -0.071 0.149 0.074 -0.09
C 1.0581 -1.0689 2.2576 -0.125 -0.032 -0.033 -0.30
C -0.3204 -0.8579 2.1736 0.155 0.299 0.145 0.26
N -1.0846 -1.8407 1.5440 0.315 -0.305 0.059 -0.63
C -2.4196 -1.8374 1.2468 -0.035 -0.422 -0.161 0.66
O -3.1949 -0.9713 1.5816 -0.169 0.189 0.057 -0.59
C -2.8353 -3.0086 0.3517 -0.166 0.059 -0.089 -0.30
N -2.6496 -2.7213 -1.0620 0.007 -0.098 0.100 -0.43
C -1.2599 -2.5720 -1.4565 0.101 -0.051 -0.357 -0.24
C -1.1750 -2.4697 -2.9813 0.401 -0.124 0.315 -0.21
N -1.9639 -1.3488 -3.4272 -0.319 -0.287 0.031 -0.43
C -1.5103 -0.1320 -3.7943 0.397 0.029 -0.195 0.66
O -2.2655 0.7842 -4.0634 -0.115 0.303 0.011 -0.63
C 0.0210 0.0334 -3.8924 -0.059 0.200 -0.334 0.01
C 0.3841 1.4927 -4.1621 -0.083 -0.156 0.039 -0.43
C 0.4361 2.0553 -2.7442 0.002 -0.200 0.052 -0.44
C 1.0097 0.8780 -1.9572 0.261 0.391 0.305 -0.07
O 0.6410 -0.3067 -2.6537 -0.110 -0.206 -0.114 -0.55
C -3.3548 -1.5018 -3.0491 -0.319 0.271 0.161 -0.23
C -3.4495 -1.5979 -1.5264 -0.116 -0.008 -0.309 -0.24
C -0.8692 0.3108 2.6989 -0.228 -0.024 -0.045 -0.29
C -0.0456 1.2426 3.2954 0.399 -0.011 0.045 -0.13
H 5.5067 4.3844 4.1866 0.096 0.091 0.029 0.22
H 3.9218 4.3141 3.4054 -0.020 0.075 -0.021 0.22
H 5.2351 3.2735 2.8340 0.080 -0.004 -0.070 0.21
H 3.8534 3.1074 5.5610 0.134 -0.136 -0.095 0.20
H 5.2026 2.0545 5.0317 -0.135 0.057 -0.012 0.19
H 2.9388 -0.3035 2.9200 0.071 -0.030 -0.005 0.22
H 1.4845 -1.9734 1.8455 0.047 -0.090 -0.043 0.21
H -0.5502 -2.6373 1.2241 -0.208 0.129 -0.004 0.40
H -3.8992 -3.1968 0.5142 0.126 0.028 0.126 0.23
H -2.2722 -3.9135 0.5964 -0.014 0.007 0.030 0.20
H -0.7051 -3.4544 -1.1255 0.043 -0.006 0.048 0.19
H -0.7875 -1.6683 -1.0386 -0.009 -0.104 -0.033 0.19
H -0.1355 -2.3618 -3.2795 -0.073 -0.069 -0.029 0.23
H -1.5956 -3.3764 -3.4294 0.089 0.032 0.023 0.20
H 0.4035 -0.6444 -4.6658 -0.040 0.074 0.096 0.20
H -0.3704 1.9758 -4.7772 0.064 -0.006 -0.028 0.25
H 1.3588 1.5573 -4.6461 0.021 -0.045 -0.015 0.21
H 1.0518 2.9470 -2.6575 -0.002 0.049 0.030 0.22
H -0.5747 2.2827 -2.4060 0.000 0.049 0.003 0.22
H 0.6250 0.8213 -0.9335 0.049 -0.001 -0.074 0.19
H 2.1058 0.9225 -1.9150 -0.113 0.010 0.029 0.17
H -3.9066 -0.6347 -3.4128 0.031 -0.152 0.026 0.25
H -3.7470 -2.4136 -3.5076 -0.020 0.033 0.020 0.20
H -4.4857 -1.7655 -1.2283 -0.001 0.063 0.029 0.21
H -3.1150 -0.6429 -1.0909 -0.057 -0.014 -0.005 0.18
H -1.9313 0.4770 2.6348 -0.001 -0.003 0.003 0.26
H -0.4553 2.1522 3.7071 -0.043 0.066 0.028 0.24
```
Forces are in eV/Å.

Summary:
- LUMO (eV) = 0.4
- Kohn-Sham gap (eV) = 9.2089
- DFT total energy (eV) = -35887.1014
- HOMO energy (hartree) = -0.322
- ΔE to the lowest compared entry with this formula, charge and spin (eV) = 2.259
- SMILES = CCOC(=O)c1ccc(NC(=O)CN2CCN(C(=O)[C@H]3CCCO3)CC2)cc1

~~~~~

(1)
The following is a DFT calculation (ωB97M-V with the def2-TZVPD basis set) of CHI3O as an isolated structure in a non-equilibrium geometry.

The molar mass comes out at 409.730 g/mol. As for the gap between HOMO and LUMO: 5.255 eV. Its spin multiplicity is 1. The value obtained for the electronic energy is -1006.9303 a.u. The calculation puts the energy above the lowest of the compared OMol25 structures with the same formula, charge and spin at 240.5 kJ/mol.

The geometry in XYZ format:
```
6
Properties=species:S:1:pos:R:3:forces:R:3:nbo_charge:R:1
C -0.289837 -0.259642 0.215199 -0.06 0.36 -0.14 -0.001
O -1.015956 0.837355 0.264862 0.73 -0.67 -0.33 -0.659
I 1.046774 -0.692765 1.788753 -0.26 0.26 -0.61 0.330
I 2.079230 0.370495 -2.224608 -0.86 -0.18 0.92 -0.560
********
-- Written answer --
Below is one molecule with the formula C20H27N3O5, with properties calculated with wB97M-V/def2-TZVPD.

```
55
Properties=species:S:1:pos:R:3:forces:R:3:nbo_charge:R:1
C 4.7833 3.7269 3.7132 -0.232 -0.324 0.125 -0.63
C 4.3500 2.6505 4.6985 0.218 0.495 0.218 -0.07
O 3.4584 1.7160 4.0934 -0.067 -0.268 -0.183 -0.51
C 2.1631 2.0647 4.0396 -0.066 0.211 0.143 0.78
O 1.7321 3.0997 4.4882 0.070 -0.055 -0.041 -0.60
C 1.3291 1.0326 3.3838 -0.163 -0.129 -0.109 -0.22
C 1.8755 -0.1358 2.8566 -0.071 0.149 0.074 -0.09
C 1.0581 -1.0689 2.2576 -0.125 -0.032 -0.033 -0.30
C -0.3204 -0.8579 2.1736 0.155 0.299 0.145 0.26
N -1.0846 -1.8407 1.5440 0.315 -0.305 0.059 -0.63
C -2.4196 -1.8374 1.2468 -0.035 -0.422 -0.161 0.66
O -3.1949 -0.9713 1.5816 -0.169 0.189 0.057 -0.59
C -2.8353 -3.0086 0.3517 -0.166 0.059 -0.089 -0.30
N -2.6496 -2.7213 -1.0620 0.007 -0.098 0.100 -0.43
C -1.2599 -2.5720 -1.4565 0.101 -0.051 -0.357 -0.24
C -1.1750 -2.4697 -2.9813 0.401 -0.124 0.315 -0.21
N -1.9639 -1.3488 -3.4272 -0.319 -0.287 0.031 -0.43
C -1.5103 -0.1320 -3.7943 0.397 0.029 -0.195 0.66
O -2.2655 0.7842 -4.0634 -0.115 0.303 0.011 -0.63
C 0.0210 0.0334 -3.8924 -0.059 0.200 -0.334 0.01
C 0.3841 1.4927 -4.1621 -0.083 -0.156 0.039 -0.43
C 0.4361 2.0553 -2.7442 0.002 -0.200 0.052 -0.44
C 1.0097 0.8780 -1.9572 0.261 0.391 0.305 -0.07
O 0.6410 -0.3067 -2.6537 -0.110 -0.206 -0.114 -0.55
C -3.3548 -1.5018 -3.0491 -0.319 0.271 0.161 -0.23
C -3.4495 -1.5979 -1.5264 -0.116 -0.008 -0.309 -0.24
C -0.8692 0.3108 2.6989 -0.228 -0.024 -0.045 -0.29
C -0.0456 1.2426 3.2954 0.399 -0.011 0.045 -0.13
H 5.5067 4.3844 4.1866 0.096 0.091 0.029 0.22
H 3.9218 4.3141 3.4054 -0.020 0.075 -0.021 0.22
H 5.2351 3.2735 2.8340 0.080 -0.004 -0.070 0.21
H 3.8534 3.1074 5.5610 0.134 -0.136 -0.095 0.20
H 5.2026 2.0545 5.0317 -0.135 0.057 -0.012 0.19
H 2.9388 -0.3035 2.9200 0.071 -0.030 -0.005 0.22
H 1.4845 -1.9734 1.8455 0.047 -0.090 -0.043 0.21
H -0.5502 -2.6373 1.2241 -0.208 0.129 -0.004 0.40
H -3.8992 -3.1968 0.5142 0.126 0.028 0.126 0.23
H -2.2722 -3.9135 0.5964 -0.014 0.007 0.030 0.20
H -0.7051 -3.4544 -1.1255 0.043 -0.006 0.048 0.19
H -0.7875 -1.6683 -1.0386 -0.009 -0.104 -0.033 0.19
H -0.1355 -2.3618 -3.2795 -0.073 -0.069 -0.029 0.23
H -1.5956 -3.3764 -3.4294 0.089 0.032 0.023 0.20
H 0.4035 -0.6444 -4.6658 -0.040 0.074 0.096 0.20
H -0.3704 1.9758 -4.7772 0.064 -0.006 -0.028 0.25
H 1.3588 1.5573 -4.6461 0.021 -0.045 -0.015 0.21
H 1.0518 2.9470 -2.6575 -0.002 0.049 0.030 0.22
H -0.5747 2.2827 -2.4060 0.000 0.049 0.003 0.22
H 0.6250 0.8213 -0.9335 0.049 -0.001 -0.074 0.19
H 2.1058 0.9225 -1.9150 -0.113 0.010 0.029 0.17
H -3.9066 -0.6347 -3.4128 0.031 -0.152 0.026 0.25
H -3.7470 -2.4136 -3.5076 -0.020 0.033 0.020 0.20
H -4.4857 -1.7655 -1.2283 -0.001 0.063 0.029 0.21
H -3.1150 -0.6429 -1.0909 -0.057 -0.014 -0.005 0.18
H -1.9313 0.4770 2.6348 -0.001 -0.003 0.003 0.26
H -0.4553 2.1522 3.7071 -0.043 0.066 0.028 0.24
```
Forces are in eV/Å.

Summary:
- LUMO (eV) = 0.4
- Kohn-Sham gap (eV) = 9.2089
- DFT total energy (eV) = -35887.1014
- HOMO energy (hartree) = -0.322
- ΔE to the lowest compared entry with this formula, charge and spin (eV) = 2.259
- SMILES = CCOC(=O)c1ccc(NC(=O)CN2CCN(C(=O)[C@H]3CCCO3)CC2)cc1

~~~~~

(1)
The following is a DFT calculation (ωB97M-V with the def2-TZVPD basis set) of CHI3O as an isolated structure in a non-equilibrium geometry.

The molar mass comes out at 409.730 g/mol. As for the gap between HOMO and LUMO: 5.255 eV. Its spin multiplicity is 1. The value obtained for the electronic energy is -1006.9303 a.u. The calculation puts the energy above the lowest of the compared OMol25 structures with the same formula, charge and spin at 240.5 kJ/mol.

The geometry in XYZ format:
```
6
Properties=species:S:1:pos:R:3:forces:R:3:nbo_charge:R:1
C -0.289837 -0.259642 0.215199 -0.06 0.36 -0.14 -0.001
O -1.015956 0.837355 0.264862 0.73 -0.67 -0.33 -0.659
I 1.046774 -0.692765 1.788753 -0.26 0.26 -0.61 0.330
I 2.079230 0.370495 -2.224608 -0.86 -0.18 0.92 -0.560